**Entries**
-- begin --
Below is a structure of composition C54H47FLaN13OPS, with properties calculated with wB97M-V/def2-TZVPD.

HOMO energy   -10.2141 eV
Total charge   +1
HOMO-LUMO gap   0.26358 Ha
Energy above the lowest of the compared OMol25 structures with the same formula, charge and spin   0.00 kcal per mole

Cartesian coordinates (Å):
La (-0.5103, -2.0862, 0.0369)
C (-5.1636, 1.4450, 2.2916)
N (-4.0708, 0.5337, 2.1263)
C (-3.4814, 0.1156, 1.0037)
N (-2.4599, -0.6721, 1.2996)
C (-2.4825, -0.7071, 2.6525)
N (-3.4349, 0.0169, 3.1776)
C (-4.7087, 2.8749, 2.4949)
C (-5.6459, 3.8971, 2.3966)
C (-5.2801, 5.2114, 2.6369)
C (-3.9745, 5.5235, 2.9690)
C (-3.0294, 4.5027, 3.0578)
C (-3.3998, 3.1798, 2.8232)
C (-1.6666, 4.8201, 3.4145)
N (-1.1694, 6.0028, 3.6294)
N (0.1190, 5.8470, 3.9414)
C (0.3765, 4.5724, 3.9097)
O (-0.7244, 3.8552, 3.5700)
C (1.6379, 3.9334, 4.1950)
C (2.7394, 4.6966, 4.5830)
C (3.9357, 4.0656, 4.8624)
C (4.0490, 2.6872, 4.7532)
C (2.9551, 1.9217, 4.3718)
C (3.0628, 0.4176, 4.2300)
N (2.5037, -0.0023, 2.9737)
C (1.2408, -0.3163, 2.6732)
N (1.1349, -0.5504, 1.3735)
C (2.4044, -0.3630, 0.9226)
N (3.2407, -0.0233, 1.8638)
C (1.7506, 2.5499, 4.0946)
H (-5.7230, 1.1253, 3.1770)
H (-5.8179, 1.3799, 1.4182)
H (-3.8134, 0.3918, 0.0237)
H (-1.8120, -1.2996, 3.2397)
H (-6.6682, 3.6573, 2.1454)
H (-6.0199, 5.9931, 2.5726)
H (-3.6691, 6.5373, 3.1733)
H (-2.6552, 2.4045, 2.9232)
H (2.6283, 5.7653, 4.6642)
H (4.7927, 4.6485, 5.1626)
H (4.9912, 2.2047, 4.9694)
H (2.5217, -0.0797, 5.0410)
H (4.1092, 0.1066, 4.2456)
H (0.4467, -0.3716, 3.3938)
H (2.6937, -0.4886, -0.1020)
H (0.8839, 1.9757, 3.7975)
C (-2.1848, 3.6935, -1.2487)
C (-1.4558, 2.9871, -0.3050)
C (-1.2443, 1.6304, -0.4592)
C (-1.8077, 0.9478, -1.5401)
C (-2.5335, 1.6706, -2.4955)
C (-2.7036, 3.0323, -2.3544)
N (-1.6662, -0.4441, -1.5928)
N (-2.4387, -1.0124, -2.4369)
C (-2.5372, -2.3737, -2.4936)
C (-3.3379, -2.8567, -3.5504)
C (-3.6520, -4.1915, -3.6225)
C (-3.1856, -5.0481, -2.6309)
C (-2.3682, -4.5789, -1.6097)
C (-2.0014, -3.2377, -1.4934)
H (-2.3497, 4.7534, -1.1266)
H (-1.0545, 3.5038, 0.5542)
H (-0.6667, 1.0739, 0.2703)
H (-2.9615, 1.1391, -3.3313)
H (-3.2563, 3.5824, -3.1002)
H (-3.6892, -2.1529, -4.2889)
H (-4.2724, -4.5694, -4.4234)
H (-3.4723, -6.0896, -2.6533)
H (-2.0456, -5.2894, -0.8532)
C (0.6474, -5.4953, 3.1871)
N (0.6007, -5.8527, 1.7996)
C (0.0001, -6.9649, 1.2726)
C (0.1093, -6.9015, -0.0703)
N (0.7625, -5.7232, -0.3759)
C (1.0618, -5.0747, 0.7965)
S (1.9776, -3.6912, 0.9769)
C (1.0027, -5.2433, -1.6628)
C (1.3154, -6.1278, -2.6943)
C (1.5596, -5.6040, -3.9477)
C (1.4830, -4.2304, -4.1296)
C (1.1427, -3.4428, -3.0465)
N (0.9001, -3.9277, -1.8352)
H (0.2123, -6.2975, 3.7773)
H (0.0796, -4.5767, 3.3415)
H (1.6789, -5.3215, 3.4935)
H (-0.4677, -7.7049, 1.8891)
H (-0.2442, -7.5686, -0.8297)
H (1.3936, -7.1866, -2.5087)
H (1.8026, -6.2541, -4.7723)
H (1.6907, -3.7867, -5.0882)
H (1.0483, -2.3689, -3.1309)
F (-1.0173, -3.2160, 1.7074)
C (0.2858, 0.2950, -4.0581)
P (1.2155, 0.2199, -2.4546)
C (1.5384, 2.0188, -2.2148)
C (1.6476, 2.5290, -0.9261)
C (1.9327, 3.8662, -0.7146)
C (2.1307, 4.7100, -1.7936)
C (2.0516, 4.2056, -3.0800)
C (1.7576, 2.8711, -3.2926)
C (2.9097, -0.1794, -3.0553)
C (3.9977, 0.2803, -2.3166)
C (5.2873, -0.0602, -2.6786)
C (5.5070, -0.8877, -3.7671)
C (4.4320, -1.3451, -4.5100)
C (3.1424, -0.9846, -4.1650)
H (-0.1452, -0.6795, -4.2889)
H (0.9251, 0.6097, -4.8812)
H (-0.5282, 1.0081, -3.9385)
H (1.5155, 1.8732, -0.0770)
H (2.0027, 4.2467, 0.2940)
H (2.3666, 5.7517, -1.6384)
H (2.2272, 4.8543, -3.9251)
H (1.7177, 2.5062, -4.3064)
H (3.8407, 0.9265, -1.4624)
H (6.1197, 0.3305, -2.1104)
H (6.5096, -1.1760, -4.0401)
H (4.5988, -1.9782, -5.3671)
H (2.3174, -1.3254, -4.7733)

Atom charges from the Löwdin analysis, given in e for atoms 1 to 5: La 1.75; C -0.07; N -0.13; C -0.11; N 0.00

=====

Below is a structure of composition C54H39BrCl3IN3O4P2S2V, with properties calculated with wB97M-V/def2-TZVPD.

Spin multiplicity   2
-- stop --

**Activity**
The reader should transcribe all of the entries further above without additions.

**Outcome**
Below is a structure of composition C54H47FLaN13OPS, with properties calculated with wB97M-V/def2-TZVPD.

HOMO energy   -10.2141 eV
Total charge   +1
HOMO-LUMO gap   0.26358 Ha
Energy above the lowest of the compared OMol25 structures with the same formula, charge and spin   0.00 kcal per mole

Cartesian coordinates (Å):
La (-0.5103, -2.0862, 0.0369)
C (-5.1636, 1.4450, 2.2916)
N (-4.0708, 0.5337, 2.1263)
C (-3.4814, 0.1156, 1.0037)
N (-2.4599, -0.6721, 1.2996)
C (-2.4825, -0.7071, 2.6525)
N (-3.4349, 0.0169, 3.1776)
C (-4.7087, 2.8749, 2.4949)
C (-5.6459, 3.8971, 2.3966)
C (-5.2801, 5.2114, 2.6369)
C (-3.9745, 5.5235, 2.9690)
C (-3.0294, 4.5027, 3.0578)
C (-3.3998, 3.1798, 2.8232)
C (-1.6666, 4.8201, 3.4145)
N (-1.1694, 6.0028, 3.6294)
N (0.1190, 5.8470, 3.9414)
C (0.3765, 4.5724, 3.9097)
O (-0.7244, 3.8552, 3.5700)
C (1.6379, 3.9334, 4.1950)
C (2.7394, 4.6966, 4.5830)
C (3.9357, 4.0656, 4.8624)
C (4.0490, 2.6872, 4.7532)
C (2.9551, 1.9217, 4.3718)
C (3.0628, 0.4176, 4.2300)
N (2.5037, -0.0023, 2.9737)
C (1.2408, -0.3163, 2.6732)
N (1.1349, -0.5504, 1.3735)
C (2.4044, -0.3630, 0.9226)
N (3.2407, -0.0233, 1.8638)
C (1.7506, 2.5499, 4.0946)
H (-5.7230, 1.1253, 3.1770)
H (-5.8179, 1.3799, 1.4182)
H (-3.8134, 0.3918, 0.0237)
H (-1.8120, -1.2996, 3.2397)
H (-6.6682, 3.6573, 2.1454)
H (-6.0199, 5.9931, 2.5726)
H (-3.6691, 6.5373, 3.1733)
H (-2.6552, 2.4045, 2.9232)
H (2.6283, 5.7653, 4.6642)
H (4.7927, 4.6485, 5.1626)
H (4.9912, 2.2047, 4.9694)
H (2.5217, -0.0797, 5.0410)
H (4.1092, 0.1066, 4.2456)
H (0.4467, -0.3716, 3.3938)
H (2.6937, -0.4886, -0.1020)
H (0.8839, 1.9757, 3.7975)
C (-2.1848, 3.6935, -1.2487)
C (-1.4558, 2.9871, -0.3050)
C (-1.2443, 1.6304, -0.4592)
C (-1.8077, 0.9478, -1.5401)
C (-2.5335, 1.6706, -2.4955)
C (-2.7036, 3.0323, -2.3544)
N (-1.6662, -0.4441, -1.5928)
N (-2.4387, -1.0124, -2.4369)
C (-2.5372, -2.3737, -2.4936)
C (-3.3379, -2.8567, -3.5504)
C (-3.6520, -4.1915, -3.6225)
C (-3.1856, -5.0481, -2.6309)
C (-2.3682, -4.5789, -1.6097)
C (-2.0014, -3.2377, -1.4934)
H (-2.3497, 4.7534, -1.1266)
H (-1.0545, 3.5038, 0.5542)
H (-0.6667, 1.0739, 0.2703)
H (-2.9615, 1.1391, -3.3313)
H (-3.2563, 3.5824, -3.1002)
H (-3.6892, -2.1529, -4.2889)
H (-4.2724, -4.5694, -4.4234)
H (-3.4723, -6.0896, -2.6533)
H (-2.0456, -5.2894, -0.8532)
C (0.6474, -5.4953, 3.1871)
N (0.6007, -5.8527, 1.7996)
C (0.0001, -6.9649, 1.2726)
C (0.1093, -6.9015, -0.0703)
N (0.7625, -5.7232, -0.3759)
C (1.0618, -5.0747, 0.7965)
S (1.9776, -3.6912, 0.9769)
C (1.0027, -5.2433, -1.6628)
C (1.3154, -6.1278, -2.6943)
C (1.5596, -5.6040, -3.9477)
C (1.4830, -4.2304, -4.1296)
C (1.1427, -3.4428, -3.0465)
N (0.9001, -3.9277, -1.8352)
H (0.2123, -6.2975, 3.7773)
H (0.0796, -4.5767, 3.3415)
H (1.6789, -5.3215, 3.4935)
H (-0.4677, -7.7049, 1.8891)
H (-0.2442, -7.5686, -0.8297)
H (1.3936, -7.1866, -2.5087)
H (1.8026, -6.2541, -4.7723)
H (1.6907, -3.7867, -5.0882)
H (1.0483, -2.3689, -3.1309)
F (-1.0173, -3.2160, 1.7074)
C (0.2858, 0.2950, -4.0581)
P (1.2155, 0.2199, -2.4546)
C (1.5384, 2.0188, -2.2148)
C (1.6476, 2.5290, -0.9261)
C (1.9327, 3.8662, -0.7146)
C (2.1307, 4.7100, -1.7936)
C (2.0516, 4.2056, -3.0800)
C (1.7576, 2.8711, -3.2926)
C (2.9097, -0.1794, -3.0553)
C (3.9977, 0.2803, -2.3166)
C (5.2873, -0.0602, -2.6786)
C (5.5070, -0.8877, -3.7671)
C (4.4320, -1.3451, -4.5100)
C (3.1424, -0.9846, -4.1650)
H (-0.1452, -0.6795, -4.2889)
H (0.9251, 0.6097, -4.8812)
H (-0.5282, 1.0081, -3.9385)
H (1.5155, 1.8732, -0.0770)
H (2.0027, 4.2467, 0.2940)
H (2.3666, 5.7517, -1.6384)
H (2.2272, 4.8543, -3.9251)
H (1.7177, 2.5062, -4.3064)
H (3.8407, 0.9265, -1.4624)
H (6.1197, 0.3305, -2.1104)
H (6.5096, -1.1760, -4.0401)
H (4.5988, -1.9782, -5.3671)
H (2.3174, -1.3254, -4.7733)

Atom charges from the Löwdin analysis, given in e for atoms 1 to 5: La 1.75; C -0.07; N -0.13; C -0.11; N 0.00

=====

Below is a structure of composition C54H39BrCl3IN3O4P2S2V, with properties calculated with wB97M-V/def2-TZVPD.

Spin multiplicity   2